Given
-- begin --
Entry 1:
C6H16N2 in the gas phase. Source: the OMol25 dataset; level of theory: the ωB97M-V functional and the def2-TZVPD basis.

Values from the calculation:
- SMILES: CCNCCN(C)C
- E_tot: -9459.4155 eV
- Frontier orbital gap: 9.477 eV
- Energy above the lowest of the compared OMol25 structures with the same formula, charge and spin: 61.32 kcal/mol
- E_HOMO: -0.3101 Eh
- Max |F|: 3.67 eV/Å

```
! wB97M-V def2-TZVPD RIJCOSX def2/J DEFGRID3
* xyz 0 1
C -0.91 3.24 1.03
C -0.02 2.43 0.05
N -0.97 1.51 -0.62
C -0.95 0.13 -0.02
C -0.27 -0.92 -0.96
N 0.26 -1.93 0.01
C 0.40 -3.27 -0.57
C 1.53 -1.39 0.59
H -1.18 4.15 0.51
H -1.89 2.80 1.10
H -0.43 3.41 1.99
H 0.64 3.00 -0.59
H 0.70 1.87 0.67
H -0.61 1.42 -1.55
H -2.03 -0.21 0.04
H -0.76 0.24 1.02
H 0.51 -0.42 -1.56
H -1.17 -1.35 -1.49
H 1.00 -3.19 -1.45
H -0.55 -3.80 -0.57
H 0.98 -3.88 0.14
H 2.13 -0.69 -0.16
H 1.45 -0.89 1.59
H 2.14 -2.25 0.80
*
```

***

Entry 2:
C6H16N2 in the gas phase. Source: the OMol25 dataset; level of theory: the ωB97M-V functional and the def2-TZVPD basis.

Values from the calculation:
- SMILES: CCC[C@H](N)CNC
- E_tot: -9460.8371 eV
- Frontier orbital gap: 9.849 eV
- Energy above the lowest of the compared OMol25 structures with the same formula, charge and spin: 28.53 kcal/mol
- E_HOMO: -0.3221 Eh
- Max |F|: 1.82 eV/Å

```
! wB97M-V def2-TZVPD RIJCOSX def2/J DEFGRID3
* xyz 0 1
C -0.53 2.76 -1.04
C -0.97 1.42 -1.67
C 0.09 0.31 -1.56
C -0.24 -0.82 -0.58
N -1.68 -1.12 -0.59
C 0.34 -0.59 0.84
N 1.28 -1.64 1.25
C 1.45 -1.68 2.70
H 0.04 2.54 -0.13
H -1.36 3.41 -0.79
H 0.18 3.24 -1.71
H -1.97 1.03 -1.50
H -1.02 1.63 -2.74
H 1.08 0.69 -1.28
H 0.23 -0.17 -2.52
H 0.17 -1.75 -0.96
H -1.84 -2.09 -0.34
H -2.20 -0.58 0.10
H 0.79 0.42 0.83
H -0.49 -0.56 1.55
H 2.17 -1.38 0.85
H 0.54 -1.40 3.22
H 1.74 -2.69 3.00
H 2.20 -0.96 3.06
*
```

***

Entry 3:
C6H16N2 in the gas phase. Source: the OMol25 dataset; level of theory: the ωB97M-V functional and the def2-TZVPD basis.

Values from the calculation:
- SMILES: CCC[C@@H](CN)NC
- E_tot: -9460.6024 eV
- Frontier orbital gap: 10.077 eV
- Energy above the lowest of the compared OMol25 structures with the same formula, charge and spin: 33.94 kcal/mol
- E_HOMO: -0.3302 Eh
- Max |F|: 2.00 eV/Å

```
! wB97M-V def2-TZVPD RIJCOSX def2/J DEFGRID3
* xyz 0 1
C -1.78 -2.31 0.31
C -1.74 -0.80 0.27
C -0.40 -0.21 0.84
C 0.29 0.86 0.02
C 1.07 1.86 0.88
N 1.67 2.98 0.17
N 1.26 0.40 -1.04
C 0.96 -0.89 -1.59
H -2.76 -2.67 0.01
H -1.59 -2.78 1.28
H -1.10 -2.76 -0.40
H -2.15 -0.55 -0.71
H -2.36 -0.34 1.02
H 0.33 -0.98 1.13
H -0.63 0.15 1.84
H -0.41 1.48 -0.56
H 1.73 1.32 1.58
H 0.34 2.23 1.62
H 0.97 3.70 0.10
H 1.86 2.65 -0.77
H 2.14 0.42 -0.55
H -0.06 -0.82 -2.00
H 0.88 -1.77 -0.95
H 1.48 -1.18 -2.50
*
```

***

Entry 4:
An isolated ion of composition C6H16N2 and charge +1. Source: the OMol25 dataset; level of theory: the ωB97M-V functional and the def2-TZVPD basis.

Values from the calculation:
- E_tot: -9451.7854 eV
- Frontier orbital gap (spin up / spin down): 10.542 / 5.006 eV
- Energy above the lowest of the compared OMol25 structures with the same formula, charge and spin: 43.71 kcal/mol
- E_HOMO (spin up / spin down): -0.4870 / -0.4700 Eh
- <S²>: 0.756
- Max |F|: 3.56 eV/Å

```
! wB97M-V def2-TZVPD RIJCOSX def2/J DEFGRID3
* xyz 1 2
C 0.86 2.34 -0.06
C 0.69 2.23 -1.61
C 1.52 1.12 0.64
N 0.69 0.37 1.66
C -0.09 -0.83 1.24
C -0.60 -0.72 -0.21
N -0.72 -2.11 -0.68
C -2.13 -2.53 -0.70
H -0.09 2.63 0.35
H 1.53 3.19 0.19
H -0.35 2.24 -1.85
H 1.16 3.15 -1.98
H 1.31 1.39 -1.96
H 2.41 1.49 1.16
H 2.13 0.59 -0.10
H 0.13 1.11 2.09
H -0.91 -0.98 1.92
H 0.65 -1.62 1.23
H 0.14 -0.25 -0.89
H -1.45 -0.04 -0.35
H -0.23 -2.32 -1.55
H -2.36 -3.30 -1.42
H -2.79 -1.66 -0.73
H -2.40 -2.97 0.29
*
```

***

Entry 5:
A 2-piece molecular cluster, C6H16N2O overall. Source: the OMol25 dataset; level of theory: the ωB97M-V functional and the def2-TZVPD basis.

Values from the calculation:
- SMILES: C/C(=C/N)CCCN.O
- E_tot: -11507.6733 eV
- Frontier orbital gap: 9.401 eV
-- stop --
Assignment
Please give back every line further up that contains the word "def2-TZVPD".
Result
C6H16N2 in the gas phase. Source: the OMol25 dataset; level of theory: the ωB97M-V functional and the def2-TZVPD basis.
! wB97M-V def2-TZVPD RIJCOSX def2/J DEFGRID3
C6H16N2 in the gas phase. Source: the OMol25 dataset; level of theory: the ωB97M-V functional and the def2-TZVPD basis.
! wB97M-V def2-TZVPD RIJCOSX def2/J DEFGRID3
C6H16N2 in the gas phase. Source: the OMol25 dataset; level of theory: the ωB97M-V functional and the def2-TZVPD basis.
! wB97M-V def2-TZVPD RIJCOSX def2/J DEFGRID3
An isolated ion of composition C6H16N2 and charge +1. Source: the OMol25 dataset; level of theory: the ωB97M-V functional and the def2-TZVPD basis.
! wB97M-V def2-TZVPD RIJCOSX def2/J DEFGRID3
A 2-piece molecular cluster, C6H16N2O overall. Source: the OMol25 dataset; level of theory: the ωB97M-V functional and the def2-TZVPD basis.